Léim ar aghaidh chuig an bpríomhábhar

### The article is interrupted by records of crystals
/*
(1)
# Ga2P2H

Ga2P2H after structural relaxation (PBE, Alexandria via LeMat-Bulk).

Cell and atoms, written as extended XYZ:
```
5
Lattice="-1.5547 0.1739 -3.6535 3.5418 -0.9194 -1.5509 -0.2586 -5.6701 -2.3215" Properties=species:S:1:pos:R:3 pbc="T T T"
H 0.0000 0.0000 0.0000
Ga 1.0095 -4.8816 -4.9852
Ga 0.7191 -1.5340 -2.5407
P -0.4098 -2.9345 -4.2886
P 2.1384 -3.4811 -3.2373
```

Results
Symmetry: I4/mmm, No. 139
DFT total energy, eV per atom: -3.52
Calculated density, g/cm³: 3.90



(2)
# GaPH

GaPH after structural relaxation (PBE, Alexandria via LeMat-Bulk).

Cell and atoms, written as extended XYZ:
```
6
Lattice="-3.4830 0.9215 1.4224 -1.2974 -1.7087 3.2638 2.9077 4.1710 6.2691" Properties=species:S:1:pos:R:3 pbc="T T T"
Ga -0.7295 2.1879 3.8357
Ga -1.6187 3.2059 6.2992
P 0.6804 2.7206 6.9683
P -1.4531 0.3081 2.0376
H -0.0882 0.2177 1.6157
H -3.0623 -0.3940 4.3468
```

Results
Symmetry: P1, No. 1
E above lowest polymorph, eV/atom: 0.2323
Calculated density, g/cm³: 3.37



(3)
# GaPH

GaPH after structural relaxation (PBE, Alexandria via LeMat-Bulk).

Cell and atoms, written as extended XYZ:
```
3
Lattice="4.1496 0.0000 -0.0029 0.0000 2.5603 0.0000 -1.8724 0.0000 5.3114" Properties=species:S:1:pos:R:3 pbc="T T T"
H -0.4171 0.0000 3.4583
P -0.4410 0.0000 2.0098
Ga 1.6310 0.0000 0.6236
```

Results
Symmetry: Pm, No. 6
E above lowest polymorph, eV/atom: 0.3177
Calculated density, g/cm³: 2.99



Please write out number 2 again, unchanged.
# GaPH

GaPH after structural relaxation (PBE, Alexandria via LeMat-Bulk).

Cell and atoms, written as extended XYZ:
```
6
Lattice="-3.4830 0.9215 1.4224 -1.2974 -1.7087 3.2638 2.9077 4.1710 6.2691" Properties=species:S:1:pos:R:3 pbc="T T T"
Ga -0.7295 2.1879 3.8357
Ga -1.6187 3.2059 6.2992
P 0.6804 2.7206 6.9683
P -1.4531 0.3081 2.0376
H -0.0882 0.2177 1.6157
H -3.0623 -0.3940 4.3468
```

Results
Symmetry: P1, No. 1
E above lowest polymorph, eV/atom: 0.2323
Calculated density, g/cm³: 3.37



> Which formula does entry 3 have?

GaPH



> Which value of calculated density does entry 3 give?

2.99 g/cm³
*/

Dáil Éireann díospóireacht -
Tuesday, 6 Nov 2001

Vol. 543 No. 2

Written Answers. - School Bullying.

John McGuinness


766 Mr. McGuinness asked the Minister for Education and Science the steps he is taking to combat bullying in schools; if his attention has been drawn to the campaign by concerned parents against bullying; if he will meet this group to discuss their concerns and suggestions; if he has received submissions on the issue; and the steps he will take to monitor the problem and address the issues. [26219/01]

Individual school management authorities are responsible for implementing policies to counter bullying in schools. In 1993 my Department issued Guidelines on Countering Bullying Behaviour to all primary and post-primary schools. The purpose of the guidelines was to assist schools in devising school based measures to prevent and deal with instances of bullying behaviour and to increase awareness of the problem among school management authorities, staff, pupils and parents. A further circular in 1994 reminded school authorities of their responsibility in formulating a written code of behaviour and discipline, which should include specific measures to counter bullying behaviour.

<<<
A plane-wave DFT calculation with GGA+U was carried out for VTcO3 after structural relaxation.

Its total magnetization is 0.85 μB per atom. For the total energy, the calculation gives -7.32 eV/atom.

It has space group Pm-3m (No. 221), with a = 3.907 Å, b = 3.907 Å, c = 3.907 Å, α = 90.00°, β = 90.00° and γ = 90.00°. The asymmetric unit holds V at (0.000, 0.000, 0.000), Tc at (0.500, 0.500, 0.500) and O at (0.000, 0.500, 0.500).

=====

Entry 1:
Below is crystalline GaSiH2 at its relaxed geometry, with properties calculated at the PBE level.

uncorrected energy = -27.27 eV for the cell shown

a b c (Å): 2.6836 2.5665 14.6558
angles (deg): 90.00 90.00 90.00
Closest atoms and distances in Å follow each position.
Space group Amm2 (No. 38)
One atom of each set of equivalent atoms:
Ga: 0.0000 0.0000 0.0000  2 H 1.77
Si: 0.0000 0.0000 0.1902  1 H 1.53
H: 0.0000 0.0000 0.2942  1 Si 1.53
H: 0.5000 0.0000 0.9213  2 Ga 1.77

=====

Entry 2:
Below is crystalline Li4ZnCd at its relaxed geometry, with properties calculated at the PBE level.

formation enthalpy at 0 K = -0.146 eV/atom
uncorrected energy = -10.72 eV for the cell shown

a b c (Å): 3.3496 3.3496 9.2203
angles (deg): 90.00 90.00 90.00
Closest atoms and distances in Å follow each position.
Space group P4/mmm (No. 123)
One atom of each set of equivalent atoms:
Li: 0.0000 0.0000 0.1515  4 Zn 2.75, 5 Li 2.79-2.86
Li: 0.5000 0.5000 0.3246  4 Li 2.86, 4 Cd 2.87, 1 Zn 2.99
Zn: 0.5000 0.5000 0.0000  10 Li 2.75-2.99
Cd: 0.0000 0.0000 0.5000  8 Li 2.87

=====

Entry 3:
Below is crystalline PrSm2Ir at its relaxed geometry, with properties calculated at the PBE level.

formation enthalpy at 0 K = -0.319 eV/atom
uncorrected energy = -24.35 eV for the cell shown

a b c (Å): 3.5761 3.5761 9.0816
angles (deg): 90.00 90.00 90.00
Closest atoms and distances in Å follow each position.
Space group P4/mmm (No. 123)
One atom of each set of equivalent atoms:
Pr: 0.0000 0.0000 0.0000  4 Pr 3.58, 8 Sm 3.84
Sm: 0.5000 0.5000 0.3187  4 Ir 3.02, 1 Sm 3.29
Ir: 0.0000 0.0000 0.5000  8 Sm 3.02

=====

Entry 4:
Below is crystalline FeRe2Se at its relaxed geometry, with properties calculated at the PBE level.

uncorrected energy = -69.46 eV for the cell shown

a b c (Å): 2.9502 4.2919 9.3692
angles (deg): 90.00 90.00 90.00
Closest atoms and distances in Å follow each position.
Space group Immm (No. 71)
One atom of each set of equivalent atoms:
Fe: 0.0000 0.0000 0.0000  4 Se 2.60
Re: 0.0000 0.5000 0.2153  2 Se 2.50, 4 Re 2.68
Se: 0.0000 0.0000 0.5000  4 Re 2.50, 4 Fe 2.60

=====

Entry 5:
Below is crystalline RbRuCl3 at its relaxed geometry, with properties calculated at the PBE level.

uncorrected energy = -19.91 eV for the cell shown

a b c (Å): 4.9720 4.9720 4.9720
angles (deg): 90.00 90.00 90.00
Closest atoms and distances in Å follow each position.
Space group Pm-3m (No. 221)
One atom of each set of equivalent atoms:
Rb: 0.0000 0.0000 0.0000  12 Cl 3.52
Ru: 0.5000 0.5000 0.5000  6 Cl 2.49
Cl: 0.0000 0.5000 0.5000  2 Ru 2.49
>>>
Here the text continues =

Under health and safety legislation, school management authorities are responsible for providing a safe environment for all personnel present in the school, including pupils. In a circular relating to guidelines on violence in schools, issued by my Department in 1999, schools were advised of their duties in this area and of the need to take positive measures to prevent and minimise the risk of violence within the school environment. In particular, the attention of schools was drawn to the need for effective school policies on school discipline and bullying. The circular advises schools that these policies should be reviewed on a regular basis and suggests that the early identification and resolution of weaknesses in school policies generally lessens the threat of violence in the school. The report on discipline, commissioned by my Department and completed by Dr. Maeve Martin, deals comprehensively with the issue of discipline in schools, and sets out models of best practice in this area. A copy of the report has been made available to all schools.

While management authorities are not required to notify my Department of bullying cases in schools, my Department regularly receives telephone calls reporting alleged instances of bullying. Generally these calls are informal enquiries and officials of my Department offer advice and assistance. In addition, my Department will examine specific complaints regarding alleged instances of bullying behaviour, but only after every effort has been made at school level to resolve the matter. The National Educational Psychological Service is available as a support service to schools in relation to individual students who encounter difficulties. I have requested my officials to arrange a meeting in the near future with the group referred to by the Deputy, on a mutually suitable date.